== Contents ==
/*
# 1
Starting from a GGA-PBE-relaxed structure, the powder diffraction line list of Na10B17C3 was simulated for λ = 1.5418 Å (Cu Kα).

Structural model:
```
data_Na10B17C3
_chemical_formula_sum 'Na20 B34 C6'
_symmetry_space_group_name_H-M 'C 1 m 1'
_symmetry_Int_Tables_number 8
_cell_length_a 18.184
_cell_length_b 2.824
_cell_length_c 13.781
_cell_angle_alpha 90.00
_cell_angle_beta 112.09
_cell_angle_gamma 90.00
loop_
_symmetry_equiv_pos_as_xyz
'x,y,z'
'x,-y,z'
'x+1/2,y+1/2,z'
'x+1/2,-y+1/2,z'
loop_
_atom_site_label
_atom_site_type_symbol
_atom_site_fract_x
_atom_site_fract_y
_atom_site_fract_z
Na1 Na 0.000 0.000 0.000
Na2 Na 0.000 0.000 0.495
Na3 Na 0.101 0.500 0.196
Na4 Na 0.101 0.500 0.698
Na5 Na 0.200 0.000 0.394
Na6 Na 0.202 0.000 0.900
Na7 Na 0.300 0.500 0.097
Na8 Na 0.300 0.500 0.595
Na9 Na 0.399 0.000 0.295
Na10 Na 0.401 0.000 0.800
B1 B 0.027 0.000 0.298
B2 B 0.036 0.000 0.819
B3 B 0.067 0.500 0.377
B4 B 0.077 0.500 0.903
B5 B 0.129 0.500 0.501
B6 B 0.167 0.000 0.082
B7 B 0.169 0.000 0.584
B8 B 0.231 0.000 0.709
B9 B 0.260 0.500 0.264
B10 B 0.271 0.500 0.789
B11 B 0.327 0.500 0.398
B12 B 0.334 0.500 0.917
B13 B 0.367 0.000 0.479
B14 B 0.372 0.000 0.993
B15 B 0.431 0.000 0.607
B16 B 0.438 0.000 0.122
B17 B 0.474 0.500 0.694
C1 C 0.136 0.500 0.020
C2 C 0.229 0.000 0.203
C3 C 0.468 0.500 0.181
```

Largest 10 diffraction maxima, sorted by position, 10° ≤ 2θ ≤ 90°:
hkl 2 0 4, 2θ 33.55, intensity 14
hkl 1 1 2, 2θ 35.97, intensity 17
hkl 6 0 2, 2θ 39.60, intensity 49
hkl 8 0 -4, 2θ 41.55, intensity 37
hkl 5 1 0, 2θ 41.72, intensity 100
hkl 7 1 -6, 2θ 56.11, intensity 10
hkl 3 1 6, 2θ 61.57, intensity 18
hkl 13 1 -4, 2θ 75.93, intensity 13
hkl 11 1 2, 2θ 77.03, intensity 17
hkl 6 2 2, 2θ 79.97, intensity 9

# 2
Starting from a GGA-PBE-relaxed structure, the powder diffraction line list of Na5B8C2 was simulated for λ = 1.5418 Å (Cu Kα).

Structural model:
```
data_Na5B8C2
_chemical_formula_sum 'Na20 B32 C8'
_symmetry_space_group_name_H-M 'A m m 2'
_symmetry_Int_Tables_number 38
_cell_length_a 8.665
_cell_length_b 2.826
_cell_length_c 26.344
_cell_angle_alpha 90.00
_cell_angle_beta 90.00
_cell_angle_gamma 90.00
loop_
_symmetry_equiv_pos_as_xyz
'x,y,z'
'-x,-y,z'
'-x,y,z'
'x,-y,z'
'x,y+1/2,z+1/2'
'-x,-y+1/2,z+1/2'
'-x,y+1/2,z+1/2'
'x,-y+1/2,z+1/2'
loop_
_atom_site_label
_atom_site_type_symbol
_atom_site_fract_x
_atom_site_fract_y
_atom_site_fract_z
Na1 Na 0.248 0.000 0.000
Na2 Na 0.249 0.000 0.199
Na3 Na 0.250 0.000 0.600
Na4 Na 0.250 0.000 0.799
Na5 Na 0.252 0.000 0.399
B1 B 0.000 0.000 0.068
B2 B 0.000 0.000 0.131
B3 B 0.000 0.000 0.271
B4 B 0.000 0.000 0.337
B5 B 0.000 0.000 0.464
B6 B 0.000 0.000 0.527
B7 B 0.000 0.000 0.670
B8 B 0.000 0.000 0.734
B9 B 0.000 0.000 0.925
B10 B 0.500 0.000 0.070
B11 B 0.500 0.000 0.257
B12 B 0.500 0.000 0.326
B13 B 0.500 0.000 0.478
B14 B 0.500 0.000 0.663
B15 B 0.500 0.000 0.869
B16 B 0.500 0.000 0.934
C1 C 0.000 0.000 0.866
C2 C 0.500 0.000 0.132
C3 C 0.500 0.000 0.538
C4 C 0.500 0.000 0.726
```

Largest 10 diffraction maxima, sorted by position, 10° ≤ 2θ ≤ 90°:
hkl 0 0 10, 2θ 34.03, intensity 13
hkl 0 1 5, 2θ 36.06, intensity 17
hkl 2 0 10, 2θ 40.06, intensity 50
hkl 4 0 0, 2θ 41.70, intensity 38
hkl 2 1 5, 2θ 41.84, intensity 100
hkl 4 1 5, 2θ 56.29, intensity 10
hkl 0 1 15, 2θ 62.24, intensity 17
hkl 6 1 5, 2θ 76.21, intensity 13
hkl 4 1 15, 2θ 77.73, intensity 17
hkl 2 2 10, 2θ 80.20, intensity 10

# 3
Starting from a GGA-PBE-relaxed structure, the powder diffraction line list of Na5B8C2 was simulated for λ = 1.5418 Å (Cu Kα).

Structural model:
```
data_Na5B8C2
_chemical_formula_sum 'Na20 B32 C8'
_symmetry_space_group_name_H-M 'C 1 m 1'
_symmetry_Int_Tables_number 8
_cell_length_a 18.078
_cell_length_b 2.831
_cell_length_c 13.659
_cell_angle_alpha 90.00
_cell_angle_beta 112.74
_cell_angle_gamma 90.00
loop_
_symmetry_equiv_pos_as_xyz
'x,y,z'
'x,-y,z'
'x+1/2,y+1/2,z'
'x+1/2,-y+1/2,z'
loop_
_atom_site_label
_atom_site_type_symbol
_atom_site_fract_x
_atom_site_fract_y
_atom_site_fract_z
*/
== Assignment ==
Count the lines further up that contain the word "B17" and give the number alone.
== Solution ==
1